LiBePb: calculated powder diffractogram (Cu Kα), based on the PBE geometry in Alexandria.

Crystal structure
a = 3.9556 Å, b = 3.9556 Å, c = 24.9216 Å
α = 90.00°, β = 90.00°, γ = 120.00°
Space group R3m (No. 160, hexagonal axes)
Inequivalent atoms, fractional coordinates:
Li1 0.0000 0.0000 0.0000
Li2 0.0000 0.0000 0.1434
Be1 0.0000 0.0000 0.5182
Be2 0.0000 0.0000 0.8553
Pb1 0.0000 0.0000 0.2508
Pb2 0.0000 0.0000 0.7476

Principal peaks in the range 2θ from 5° to 70°, most intense first:
26.99°, 3.303 Å, I 100, hkl 0 1 2
29.76°, 3.002 Å, I 82, hkl 1 0 4
21.39°, 4.154 Å, I 55, hkl 0 0 6
39.08°, 2.305 Å, I 43, hkl 0 1 8
51.15°, 1.786 Å, I 35, hkl 1 1 6
45.88°, 1.978 Å, I 29, hkl 1 1 0
44.98°, 2.015 Å, I 27, hkl 1 0 10
65.13°, 1.432 Å, I 19, hkl 1 1 12
54.04°, 1.697 Å, I 15, hkl 2 0 2
55.65°, 1.652 Å, I 15, hkl 0 2 4

The reader should print all of the lines earlier on exactly.

LiBePb: calculated powder diffractogram (Cu Kα), based on the PBE geometry in Alexandria.

Crystal structure
a = 3.9556 Å, b = 3.9556 Å, c = 24.9216 Å
α = 90.00°, β = 90.00°, γ = 120.00°
Space group R3m (No. 160, hexagonal axes)
Inequivalent atoms, fractional coordinates:
Li1 0.0000 0.0000 0.0000
Li2 0.0000 0.0000 0.1434
Be1 0.0000 0.0000 0.5182
Be2 0.0000 0.0000 0.8553
Pb1 0.0000 0.0000 0.2508
Pb2 0.0000 0.0000 0.7476

Principal peaks in the range 2θ from 5° to 70°, most intense first:
26.99°, 3.303 Å, I 100, hkl 0 1 2
29.76°, 3.002 Å, I 82, hkl 1 0 4
21.39°, 4.154 Å, I 55, hkl 0 0 6
39.08°, 2.305 Å, I 43, hkl 0 1 8
51.15°, 1.786 Å, I 35, hkl 1 1 6
45.88°, 1.978 Å, I 29, hkl 1 1 0
44.98°, 2.015 Å, I 27, hkl 1 0 10
65.13°, 1.432 Å, I 19, hkl 1 1 12
54.04°, 1.697 Å, I 15, hkl 2 0 2
55.65°, 1.652 Å, I 15, hkl 0 2 4